Mail in beta 5 doesn't save SMTP setup

After upgrading to El Capitan beta 5, 10.11 Beta (15A235d), Apple Mail 9.0 (3073) is not remembering any SMTP accounts for non-iCloud accounts. For example, I have gmail and other IMAP mail servers. Mail forgot all my SMTP servers after the upgrade to beta 5; and adding the SMTP server then going back into the Outgoing Mail Server setup shows the SMTP server you just added was not saved. When trying to send an email with a missing SMTP account, you can add the SMTP server and the single email gets set OK, *but* that SMTP server you just added is not saved after sending that single email.

The SMTP server for iCloud accounts is saved and used without any problems.

This problem did not occur in previous El Capitan betas.

reported to Apple; radar #22026537

I think this behaviour may result from a particular setting getting activated somehow. If that's the case then disabling it should return control over your Gmail settings in Mail.

Uncheck the "Automatically detect and maintain account settings" checkbox(s) in Mail Preferences -there may be one of these checkboxesunder each account in Advanced.

-- Molecular data from another source follow --
********
[1]
ORCA calculation (ωB97M-V with the def2-TZVPD basis set) on C10H25As2F12N5O5Tl as an isolated structure.

## Properties
* charge: +2
* multiplicity: 2
* energy: -6887.9469 a.u.
* expectation value of S²: 1.77
* lowest unoccupied orbital energy (spin up / spin down): -10.53 / -10.83 eV
* largest force on an atom: 4.6 eV/Å
* M: 877.543 g/mol
* frontier orbital gap (spin up / spin down): 0.1618 / 0.1510 Eh

Positions of all 60 atoms, in Å:
Tl: -1.9388 15.5588 -0.2082
As: -5.9281 14.1700 -2.2288
As: 1.0320 12.5246 1.8250
F: 0.4004 13.1083 3.4383
F: -4.4010 14.8681 -1.5912
F: -7.4367 13.3650 -2.8860
F: 1.4642 12.0462 0.1519
F: 2.2269 13.8661 1.8166
F: 2.2456 11.3834 2.4996
F: -0.1716 11.2275 1.9714
F: -5.7709 15.1140 -3.7628
F: -6.1604 13.2453 -0.6652
F: -6.7698 15.5769 -1.4456
F: -0.2196 13.6854 1.0604
F: -4.9986 12.8144 -2.8646
O: -4.5144 15.8490 1.2179
O: -1.0736 13.2566 -1.7338
O: 0.0245 16.5222 1.7257
O: -3.6926 17.6063 -1.3918
O: 0.7809 15.5533 -1.1203
N: 2.1908 13.9358 -1.7225
N: 1.2155 15.9653 3.4152
N: -6.6217 15.1639 1.4018
N: -2.3502 11.4718 -1.9544
N: -4.0069 19.0614 -2.9625
C: -0.2259 11.6284 -3.2245
C: -5.6651 15.9678 1.7381
C: 0.9867 16.7840 2.4243
C: 1.8148 18.0634 2.3152
C: 1.7712 15.1747 -1.7341
C: -1.2142 12.1434 -2.2210
C: -6.0166 17.0273 2.7063
C: -5.5292 19.0073 -1.0770
C: 2.4590 16.1025 -2.6729
C: -4.3431 18.5254 -1.7991
H: -3.0270 11.8009 -1.2808
H: 1.8172 13.2254 -1.1094
H: 1.9276 16.1620 4.1039
H: 0.7927 11.7124 -2.8455
H: -7.0035 16.8356 3.1275
H: 3.0476 13.7169 -2.2105
H: -5.9277 18.0218 2.2689
H: -4.6682 19.5893 -3.5140
H: 2.6053 17.1047 -2.2700
H: -5.3045 17.0091 3.5313
H: -5.4825 19.0125 0.0120
H: -5.7415 20.0256 -1.4026
H: 1.4215 18.7985 3.0173
H: -3.3638 18.4826 -3.4835
H: -7.5315 15.5773 1.2552
H: -6.3920 18.4591 -1.4556
H: 3.4192 15.7037 -3.0002
H: -2.7139 10.8762 -2.6844
H: -0.4234 10.6279 -3.6092
H: 1.5696 18.2727 1.2739
H: 0.5581 15.2179 3.5863
H: -6.3905 14.5224 0.6567
H: 1.8974 16.1877 -3.6032
H: 2.8625 17.7714 2.3876
H: -0.2423 12.3420 -4.0482


[2]
ORCA calculation (ωB97M-V with the def2-TZVPD basis set) on a single C3H7N molecule.

## Properties
* energy: -173.2014 a.u.
* structure (SMILES): CN1CC1
* lowest unoccupied orbital energy: 1.28 eV
* largest force on an atom: 1.7 eV/Å
* energy relative to the best compared isomer or geometry (same formula, charge and spin): 106.9 kJ/mol
* M: 57.096 g/mol
* frontier orbital gap: 0.3855 Eh

Positions of all 11 atoms, in Å:
N: -0.0879 -0.0221 -0.6884
C: -1.3614 -0.0034 -0.0510
C: 0.9629 -0.7519 -0.0347
C: 0.9570 0.7289 -0.0290
H: -1.3780 -0.1431 1.0493
H: 0.7912 -1.2531 0.9372
H: -1.8324 0.9510 -0.2758
H: 0.6973 1.1859 0.9138
H: -2.0172 -0.8081 -0.4745
H: 1.6384 -1.2679 -0.7110
H: 1.6301 1.3839 -0.6359


[3]
ORCA calculation (ωB97M-V with the def2-TZVPD basis set) on a 2-piece molecular cluster, C7H11NO3 overall.

## Properties
* energy: -553.7795 a.u.
* structure (SMILES): O=C1C=CC(=O)O1.CN(C)C
* lowest unoccupied orbital energy: -0.91 eV
********

Also in the SMTP Server List, for each server in Advanced, there may be a similar checkbox.

Once they're unchecked. Re-do your settings as you want. Save and restart Mail.

Oh, I wish it were so....

I can't add any new SMTP services (I can add them, save them and then when I go back, they're gone.)

my non iCloud, non-GMail and non-Yahoo IMAP accounts don't work... with or without changing the "automatically..." checkboxes.

for me, Mail is unusable in every beta ... except the first one... it worked fine there...

I didnt have that specific problem, but Mail continues to be largely unusable for non-Apple accounts with all DP's for me. Problems seem to revolve around handling of SMTP servers.

Exactly the same here... no matter how many times I type in all the correct data for my GoDaddy outgoing server (, as soon as I save it, it's gone. Over and over and over again. I can receive e-mail just fine so I know everything's ok with the incoming server (, but it won't save the outgoing, so I'm sunk. I've tried every trick I found on the Web (selecting then deselecting "Automatically detect...", opening the code under my mail account and chaning under "Send unsecure..." from "False" to "True". Nothing works. Hope someone can find a fix that works!

Here's a strange one... I did all the settings for the correct outgoing server and then did not close out the "Preferences", "Accounts" window - just left it open. I can now send and receive e-mail from 10.11 just fine. I did try saving and then closing out of Mail and reopening, but while it did maintain the correct outgoing server name, it kept changing it from "smtp" to "pop". There's something wrong with the "save" function in 10.11. My solution: don't save and don't close the program.

Cross fingers for today's Beta 6 🙂

Hi Devonhub,

New theory: this may have to do with SMTP entitlement failiure:

To diagnose if that's the case you would need to do the following:

  1. Open Mail app and go to the Mail menu, then select “Preferences”
  2. Choose the “Accounts” tab in the preferences window
  3. Select the mail account that is experiencing problems and/or errors
  4. Look under ‘Account Information’ tab and click “Outgoing Mail Server (SMTP)”, then “Edit SMTP Server List”
  5. Select the ‘Advanced’ tab of the Edit SMTP Server List screen
  6. Re-enter your login and password credentials for the affected email account (this is an important step)
  7. Tick the box for "Allow insecure authentication"
  8. Now click “OK”
  9. Select the ‘Advanced’ tab of the main Accounts preference (this isn't the same 'Advanced' tab as before)
  10. Tick the box for "Allow insecure authentication" (again, it's not the same box)
  11. Close Preferences, selecting to “Save” when asked about changes

Compose a new email message and send it to check if it has been solved.


Thanks Max... I got that suggestion last week and tried and tried and tried it. Nope. My system is the only thing so far that's worked for me.

I have same problem......

It's not working......Apple just made a lot of bugs with Mail......

I have been driven nuts by this problem as well which I did not have in the previous betas. It happened only after the latest beta screwed all my mail acounts and I has to reenter them. What is however quite strange is:

a. I seem to have at least one account that stick on top of my iCloud account.

b. Also I thought Mail could just not save the last one from the list, so I entered the two that were missing and a dummy account ( Bingo, Mail has saved dummy perfectly and not the two useful ones. This points to the global problem of mail accounts somehow being screwed by the iCloud sync process.

I had the same problems and checking / unchecking didn't work at all.

My sollution was adding a email account for one of my domains. I used a non existing email but the SMTP which should be used for my other accounts.

After adding the fake account I could select the SMTP server for my existing email accounts and also after closing the dialog box it saved the chosen SMTP server.

Hope it works for you to.

The behaviour described by JJMSeattle reflects my siutation exactly. I thought I would contribute my experiences on this point in the event it may help someone, but alas I have no answer yet.

Re-entering my SMTP server details with the Connection Doctor window open below confirms that the connection is working, but the second the changes to the account are saved, the SMTP entry in the Connection Doctor disappears along with, of course, the entry in the Outgoing Server list. It seems to make no difference to me whether "Automatically detect and maintain..." is selected, either in the main accounts pane or in the advanced tab of the SMTP configuation pane. Likewise, "Allow insecure authentication" seem to make no difference either way.

What is odd is that this behaviour has only manifested itself in the last 24 hours or so - I updated to PB3 nearly two weeks ago when it was released and have been able to send email from this MacBook. Similarly, the same account continues to work fine on an iMac with El Cap installed.

A possibly related point is that following every public beta thus far, the main IMAP server I use has been unable to connect. In each case (after alot of searching imitiailly) I found that the password field of the relevant outgoing connections pane has become blank. Re-entering the password here (up until this issue) had restored the IMAP account.

Frustrated, but setting it down in words has helped clear my thoughts a bit!


Derby, UK

Unless all the listed suggestions i still have this issue. Strange is also since i use BETA 6 the screen show odd. The label fall over the entry boxes. This is only on my Retina machine. Both issues do not present themselfs on my older Air. Any suggestions from Apple?

Records of molecules that have nothing to do with the entry >
┌──
No. 1
91
Properties=species:S:1:pos:R:3:forces:R:3 method="wB97M-V/def2-TZVPD" energy_ha=-3474.261885 max_force_ev_per_a=1.11 charge=0 gap_ev=6.9190 lumo_energy_ev=0.21 multiplicity=1 de_lowest_kcal_mol=7.3
Y -0.06259 0.62319 -0.63963 0.7828 -0.7909 0.0314
C 1.09174 2.38064 -5.00447 -0.0169 -0.0897 -0.0785
C 0.90747 2.05526 -3.55555 0.1777 0.2967 0.1974
N 0.10315 1.16448 -3.11962 -0.3493 -0.0782 -0.2048
N -0.69998 0.56129 -4.08068 0.3072 -0.1477 0.3803
C -0.96106 -0.68725 -3.81959 -0.2111 -0.0353 -0.0315
N -1.84507 -1.29795 -4.67297 0.0385 0.0596 0.0410
S -0.36062 -1.65743 -2.51011 0.1518 0.1563 0.0014
C 1.66179 2.84938 -2.54336 -0.1260 -0.0840 -0.1555
C 2.70547 3.68249 -2.92527 -0.0377 -0.0097 0.0192
C 3.30703 4.49003 -1.97439 0.0191 0.0134 -0.0393
C 2.82988 4.46509 -0.67982 -0.0428 -0.0157 0.1024
C 1.80414 3.58343 -0.37079 0.0482 0.0230 -0.1339
N 1.25425 2.77258 -1.26843 -0.1605 -0.0001 -0.0177
H 0.22757 2.04408 -5.57005 0.0153 0.0075 0.0390
H 1.97001 1.85862 -5.39449 0.0139 0.0063 -0.0052
H 1.23879 3.44773 -5.15449 -0.0174 0.0423 0.0064
H -2.02579 -0.81985 -5.54075 -0.0083 -0.0230 -0.0246
H -1.84529 -2.30197 -4.68099 0.0107 0.0018 -0.0103
H 3.04029 3.70282 -3.95100 0.0035 -0.0070 -0.0149
H 4.12289 5.14364 -2.25404 0.0101 0.0125 0.0041
H 3.23241 5.10890 0.08922 0.0090 0.0154 0.0005
H 1.39901 3.52299 0.62719 0.0157 0.0119 0.0540
Cl -1.83006 3.41184 -1.87608 -0.0905 0.1121 0.0502
C -1.37907 4.17528 -0.36207 -0.0611 0.0094 -0.1600
C -1.02758 5.50903 -0.38099 0.0101 -0.0037 0.0881
C -0.62173 6.12622 0.79664 -0.0077 -0.0061 -0.0437
C -0.61644 5.38413 1.97047 -0.0080 -0.0097 0.0056
C -0.98995 4.04967 1.96192 0.0187 -0.0126 0.0464
C -1.35654 3.36985 0.78711 0.0482 -0.0057 -0.0086
C -1.63117 1.94240 0.72083 -0.2335 0.4424 0.0610
H -1.06367 6.05362 -1.31425 0.0092 0.0260 -0.0283
H -0.33836 7.16935 0.79530 0.0053 0.0255 0.0016
H -0.34013 5.85741 2.90553 -0.0055 -0.0003 0.0090
H -1.04594 3.50116 2.89612 0.0232 -0.0100 0.0045
H -1.74111 1.49502 1.71312 0.0348 -0.0226 -0.0020
H -2.54335 1.77478 0.14888 0.0100 -0.0380 -0.0057
C -0.42918 -6.99230 3.55958 -0.0297 -0.0494 0.0094
C -0.28767 -5.65987 2.87905 -0.0121 0.0642 0.0110
C -0.78764 -4.50517 3.46445 -0.0022 -0.0056 -0.0325
C -0.66122 -3.25819 2.86077 -0.0055 -0.0817 0.0853
C -1.21956 -2.05606 3.57559 0.0181 0.0314 0.0845
C 0.01341 -3.16776 1.63958 0.0436 0.0475 -0.0559
C 0.53525 -4.31533 1.03205 -0.0418 -0.0814 0.0044
C 1.24142 -4.27381 -0.29631 0.0088 -0.0322 -0.0609
C 0.36102 -5.54435 1.65773 0.0179 0.0124 0.0021
C 0.17577 -1.84077 0.95504 -0.1281 0.2348 -0.0882
O 1.29888 -1.46963 0.54112 -0.0372 -0.1452 -0.0696
O -0.84475 -1.10361 0.80209 -0.0096 0.0110 0.1147
H -1.29501 -7.00688 4.22074 -0.0105 0.0054 0.0107
H 0.45068 -7.21725 4.16555 0.0247 0.0051 0.0044
H -0.54254 -7.79857 2.83512 0.0086 0.0000 -0.0189
H -1.30662 -4.57307 4.41420 -0.0065 -0.0126 0.0212
H -1.80990 -2.37428 4.43437 -0.0066 0.0091 0.0008
H -1.83431 -1.44211 2.92428 -0.0302 -0.0005 -0.0563
└──

I'm having the same issue, particulary with my Fastmail account.

Seems this continues to be broken in the Final release as well.

I can confirm the release version is doing the same thing. Smtp servers are not syncing to the prefs.


I did have the same issue. I just open Mail, under the Mail tab I choose Accounts instead of Preferences, choosee the account you having issues with and retype the passwork, voila, everything is working now.

Mail in beta 5 doesn't save SMTP setup